Winter bale grazing
What if this same system also kept your cattle clean during the winter without coats caked with mud and manure, allowed you to creep graze fall-born calves and built up the organic matter levels in your pasture soils? Would you be even more interested?
As far-fetched as this may sound, all these benefits are possible with an innovative winter feeding technique called “bale grazing.”
What is bale grazing?
Bale grazing is a winter feeding technique where bales are set out on pasture before winter and fed in a planned, controlled manner, somewhat like rotational grazing. Temporary electric fencing limits cattle access to those bales you want fed in the current move. With each move, a fence is set up to expose new bales, usually 50 to 100 feet in front of the previous fence, which is then taken down to allow cattle access to new bales.
Where hay rings are used, they are rolled from the old bales to the new bales and flipped over into place. The process is typically repeated every one to seven days. Properly planned, you will not need to use a tractor the entire winter, and nutrients will be deposited where they are needed. It’s simple, cheap and effective. The only major requirements are an open mind, advanced planning and cattle trained to electric fence.
Ideally, hay is set out on pastures in late fall or early winter, right where you want it fed. In the upper South, we normally have good conditions for driving out on pasture through Thanksgiving and typically into mid-December. These drier conditions are ideal for setting out bales without causing any damage and doing it efficiently.
On most farms with reasonable slope, you can pull a loaded hay wagon or trailer with a pickup truck in dry conditions and move a lot of hay quickly. With smaller bales (I like 4X5s), you can even roll them off the trailer by hand, right into place, without using a tractor to unload.
We have moved all our winter hay onto pasture in less than half a day using this method.
Moving wagon loads of hay in dry conditions is much more efficient than hauling one or two bales at a time by tractor. Properly planned, your winter machinery costs will be a fraction of what they would be feeding hay conventionally.
As a practical matter, when starting out, I would recommend setting out 70 to 80 percent of your estimated hay needs in late fall and plan to distribute the remainder at easy access points in the pasture. This way, if you overestimated your hay needs, you will not have to move bales off pasture in April. After a couple of winters, you will be able to better refine your estimates.
Bale grazing combines very well with stockpiled pasture. With this system, cattle get both hay and a strip of stockpiled pasture with each move. Since stockpiled pasture is typically better in both energy and protein compared to typical hay, the stockpile can effectively serve as both an energy and protein supplement.
As a general rule of thumb, I like to move the fence two or three times per week. Most of the cattle producers I know who do not use hay rings say you should only put out enough hay for two days, or you will have excessive waste. I know of one farmer in Missouri who has had good luck without rings by feeding every two days and tipping bales onto their flat side.
He claims this method significantly reduces waste. I will experiment with his technique this winter but have traditionally used hay rings and rolled them across my pastures. It normally takes about two or three minutes round-trip per ring to roll into place.
Always start from a water source and move away from it. You do not need to use a back fence, but it is a good idea when practical to set up two forward fences – one for the current move and another for the next move. In case something happens to your first fence (e.g., wind or deer knock off a few posts), you will still have an additional fence that will protect the bulk of the hay bales.
If cattle have access to a 10-acre pasture with 50 unprotected bales, they can do a lot of damage in a couple days. It goes almost without saying your fence needs to stay hot, and cattle need to respect it. Find and correct any shorts or problems before the cattle do.
Benefits from bale grazing
I used to think the improved capture of nutrients (nitrogen, phosphorus and potassium) and reduced winter feeding machinery costs were the primary benefits of bale grazing. I’m not sure anymore. Soil organic matter will improve through manure and wasted hay deposited on pasture. Increases in organic matter will increase soil mineralization of nutrients, particularly nitrogen, and will improve the water-holding capacity of the soil.
Improved animal health results through constantly moving the feeding area and having less associated mud and manure typical in conventional feeding. For fall-calving herds, you can creep graze or feed calves by adjusting the height of the electric fence. They will pick through the grass and hay without competition from the cows.
A ton of mixed grass hay has roughly 35 pounds of nitrogen (N), 12 pounds of phosphorus pentoxide (P2O5), and 53 pounds of potassium oxide (K2O). Assuming 75 percent of the P and K, and 50 percent of the N, are effectively captured back into the pasture, this would amount to around $20 in fertilizer value per ton of hay fed at current fertilizer prices.
At 4 tons of hay per acre, this would effectively result in $80 per acre in fertilizer value, all as a byproduct from feeding hay on pasture. The other benefits are harder to quantify, but nonetheless important benefits from bale grazing.
Concerns with bale grazing
Bale grazing originated in the High Plains in the U.S. and Canada. While it is ideally suited for this region due to typically dry conditions and frozen soils during winter, it can be modified for effective use in other regions. The main reason people are afraid to try bale grazing in regions with more rainfall and warmer winters is concern over whether it will damage or pug pastures.
While this is a legitimate concern, I have generally found that with good management, pugging can be kept to a minimum in most years.
The key is to feed at low densities. In the upper South, I generally recommend keeping feeding densities to 4 tons of hay (roughly eight 5X5 bales) or less per acre. If you have a moderate stocking rate in this region at 2 acres of pasture per cow, this would likely necessitate feeding hay on 30 percent of your pasture acres. In my opinion, bale grazing on 20 to 33 percent of your pastures each year is ideal.
Farms that have a higher stocking rate will have a more difficult time effectively implementing bale grazing, as they will have to feed more hay on fewer acres and this will, by necessity, be at higher densities. Lower stocking rates of 2.5 to 3 pasture acres per cow are the easiest to manage to keep pasture damage to a minimum.
Do not constrict cattle to small areas. When I start bale grazing a new pasture, I continue to give them access to the previous pasture, either in full or in part. This will keep them from being concentrated. Be flexible. If you are bale grazing an area that has drainage problems, move to another area when it is wet. When you have really nasty weather and mud, move to the drylot or feeding pad if you have one.
Hay waste from leaving bales outside for months is another concern. However, this one is almost completely unfounded, at least in the upper South. Hay set out in pasture during the summer in this region with its high rainfall, heat and humidity would be expected to have significant rot even after one or two months.
But this same hay, set out in late fall or early winter after temperatures have dropped, will experience very little rot as the biological organisms that break down hay are not active at this time of year. If you set out hay in late fall that is in good shape with a thatch largely intact, you will be amazed by how little rot occurs even by March.
Bale grazing is not for everyone. It takes good management, reasonable stocking rates and cattle that respect electric fences to be successful. But it also takes the right attitude to make it work. Farmers who enjoy recreational tractor driving and playing in the mud will find excuses why it won’t.
-- begin --
Computed XRD peak list
Compound: Li4Mn2P4H3O16
Radiation: Cu Kα X-rays
Structure: a DFT-relaxed cell (GGA+U, the Materials Project)

Peak list (10 most intense, 2θ = 10–80°, in order of falling intensity)
- 2θ 23.30, intensity 100, hkl 1 1 0
- 2θ 29.21, intensity 81, hkl 1 -2 1
- 2θ 15.68, intensity 46, hkl 0 1 -1
- 2θ 22.26, intensity 33, hkl -1 1 1
- 2θ 16.16, intensity 33, hkl 0 1 1
- 2θ 32.66, intensity 32, hkl 0 2 2
- 2θ 31.67, intensity 30, hkl 0 2 -2
- 2θ 24.31, intensity 30, hkl 0 1 -2
- 2θ 28.91, intensity 28, hkl 1 0 2
- 2θ 22.72, intensity 25, hkl 1 -1 1

Crystal structure
```
Li4Mn2P4H3O16
1.0
5.0022 0.0000 0.0000
-1.3709 7.5538 0.0000
-0.3365 -0.2461 8.2348
Li Mn P H O
4 2 4 3 16
direct
0.0000 0.0000 0.0000
0.2280 0.3185 0.7481
0.4845 0.4687 0.2181
0.7582 0.8462 0.5237
0.1204 0.1597 0.3707
0.6192 0.6536 0.8750
0.2579 0.9152 0.7200
0.5119 0.9029 0.2012
0.7284 0.4120 0.5441
0.9854 0.3924 0.0233
0.0523 0.5973 0.4507
0.1855 0.7111 0.2841
0.5799 0.1370 0.8585
0.0320 0.8278 0.8259
0.0903 0.3644 0.1983
0.1520 0.9547 0.5502
0.2166 0.4905 0.9236
0.2791 0.0046 0.1776
0.3804 0.7136 0.2816
0.3858 0.1035 0.8041
0.4870 0.8020 0.7029
0.5077 0.3300 0.4191
0.6054 0.4624 0.7030
0.6313 0.8510 0.0413
0.7355 0.9850 0.3245
0.7617 0.5139 0.0439
0.8624 0.2132 0.9385
0.8626 0.6028 0.4675
0.9613 0.3103 0.5669
```
-- stop --
But for those with the right attitude who learn how to implement it effectively, the benefits can be great. Once you figure out how to bale graze effectively, chances are good you will never go back to conventional hay feeding. I’ve never met anyone who did.
PHOTO: As hay bales are stationed throughout winter pasture, the feed rings can be easily moved to new bales to reduce waste. Photo by Greg Halich.
Greg Halich is an associate extension professor in agricultural economics at the University of Kentucky. Email Greg Halich.